by Ingredient

Health and nutrition news that’s easy to digest

********
Entry 1:
{"formula": "C5H8N2O", "method": "ωB97M-V with the def2-TZVPD basis set", "e_homo_ev": [-7.7, -8.2], "charge": 0, "spin_multiplicity": 1, "symbols": ["C", "C", "C", "C", "C", "N", "N", "O", "H", "H", "H", "H", "H", "H", "H", "H"], "positions_angstrom": [[0.40, 1.87, 0.19], [1.41, 2.42, 0.96], [-0.40, -1.20, -1.37], [-0.81, -1.59, 0.00], [-0.82, -0.14, -0.38], [2.24, 0.37, 1.46], [0.16, 0.59, 0.28], [2.15, 1.65, 1.64], [-0.24, 2.61, -0.25], [1.44, 3.55, 1.09], [0.71, -1.28, -1.38], [-0.85, -1.50, -2.20], [-1.80, -2.00, 0.18], [0.00, -1.98, 0.57], [-1.78, 0.27, -0.82], [2.89, 0.06, 2.21]], "lowdin_charge": [-0.146, -0.160, -0.103, -0.119, -0.339, 0.076, 0.066, -0.103, 0.104, 0.144, 0.117, 0.050, 0.094, 0.094, 0.154, 0.072]}

Entry 2:
{"formula": "C5H8N2O", "method": "ωB97M-V with the def2-TZVPD basis set", "e_homo_ev": -8.7, "charge": 0, "smiles": "C[C@@]1(N)[C@@H]2C=NO[C@@H]21", "spin_multiplicity": 1, "symbols": ["C", "C", "C", "C", "C", "H", "H", "H", "H", "H", "H", "H", "H", "N", "N", "O"], "positions_angstrom": [[-1.13, -0.39, 1.53], [-0.26, -0.53, 0.22], [1.07, 0.18, 0.37], [0.61, 1.23, -1.66], [0.00, 0.98, -0.35], [-2.41, -0.57, 1.54], [-1.22, 0.68, 2.05], [-0.97, -1.23, 2.21], [0.43, -1.85, -0.97], [-1.21, -1.75, -1.16], [1.80, 0.33, 1.36], [0.47, 2.14, -2.38], [-0.89, 1.65, -0.18], [-0.38, -1.80, -0.46], [1.85, 0.75, -1.67], [2.26, 0.19, -0.45]], "lowdin_charge": [-0.072, -0.428, -0.219, -0.105, -0.146, 0.136, 0.103, 0.046, 0.026, 0.130, 0.206, 0.150, 0.142, 0.092, 0.034, -0.095]}

Entry 3:
{"formula": "C5H8N2O", "method": "ωB97M-V with the def2-TZVPD basis set", "e_homo_ev": -9.2, "charge": 0, "spin_multiplicity": 1, "symbols": ["C", "C", "C", "C", "C", "H", "H", "H", "H", "H", "H", "H", "H", "N", "N", "O"], "positions_angstrom": [[0.83, -0.28, -0.22], [0.23, 0.76, 0.90], [-0.12, 1.59, -0.35], [-0.33, 0.14, -0.91], [-1.48, -0.13, 0.11], [-0.29, -2.29, -0.29], [2.12, -2.13, -0.22], [1.81, -0.02, -0.85], [0.87, 1.42, 1.50], [-1.04, 2.21, -0.12], [0.86, 2.05, -0.75], [-0.68, 0.00, -2.00], [-0.47, -0.73, 1.81], [0.89, -1.78, 0.23], [-0.78, 0.07, 1.30], [-2.42, -0.87, -0.16]], "lowdin_charge": [-0.358, -0.359, -0.062, -0.250, -0.403, 0.221, 0.196, 0.164, 0.151, 0.140, 0.142, 0.174, 0.144, -0.063, 0.084, 0.079]}

Entry 4:
********

Cute girl selecting produce in Summer Market

It is always best to bring home in-season produce from the grocer or market. While out of season or imported fruits and vegetables may still be available, and perfectly suitable for purchase, buying locally grown options will provide the freshest flavors. Spring and summer harken the arrival of juicy berries, fragrant melons and all kinds of nutritious vegetables and greens. The following tips show you how to choose and keep the freshest options, while avoiding those that are over-ripe.

Ripe honeydew and cantaloupe should give off their distinct “melony” smell from the circle left from the stem. The opposite side of the melon should feel slightly soft by pressing gently. Overly ripe melons will give too easily. 

Watermelons should produce a mildly hollow sound when you thump them with your knuckles. Some watermelons have a yellow spot on the bottom, and may not be fully round. This is just a sign that they were grown to ripeness resting on the ground – this is especially noticeable in larger, heavier varieties.

When selecting fresh corn look for moist green husks with dark brown silks. Peel back the husk to make sure the kernels are fresh and plump – if you press a kernel with your fingernail it should release a little milky liquid. Fresh corn is best eaten shortly after harvesting or purchasing.

What comes next are data records, not part of the piece.
- - -
153
Properties=species:S:1:pos:R:3 method="wB97M-V/def2-TZVPD" e_homo_ev=-8.01 orbital_gap_ev=8.35 smiles=CC1(C)CCCC(C)(C)N1O.CC1(C)CCCC(C)(C)N1O.CC1(C)CCCC(C)(C)N1O.CC(C)O.CC(C)O.CC(C)O.CC(C)O.CC(C)O.O spin_multiplicity=1 e_above_lowest_kj_mol=609.9 charge=0
O -0.64 -0.43 5.45
H -0.62 0.09 6.25
H -0.09 0.05 4.83
C -6.23 -5.26 1.92
C -5.30 -4.65 0.88
C -6.20 -3.73 0.00
C -6.52 -2.40 0.60
C -5.22 -1.60 1.06
C -4.36 -2.46 2.13
N -4.23 -3.85 1.57
O -3.31 -4.71 2.39
C -3.07 -1.65 2.18
C -5.15 -2.43 3.43
C -4.68 -5.81 -0.04
H -6.88 -4.62 2.50
H -5.68 -5.98 2.53
H -6.96 -5.86 1.37
H -5.88 -3.37 -0.98
H -7.16 -4.19 -0.25
H -7.25 -2.56 1.40
H -7.04 -1.82 -0.16
H -5.30 -0.60 1.49
H -4.67 -1.50 0.13
H -3.20 -0.59 1.97
H -2.39 -1.64 3.03
H -2.45 -1.88 1.31
H -4.99 -3.37 3.95
H -4.83 -1.64 4.11
H -6.18 -2.10 3.27
H -3.90 -6.39 0.46
H -4.23 -5.52 -0.98
H -5.46 -6.40 -0.51
H -3.83 -4.96 3.16
C 1.18 1.41 2.58
C 0.56 0.64 1.37
C -0.72 1.35 1.07
C -0.70 2.69 0.26
C 0.04 2.19 -1.03
C 1.43 1.60 -0.91
N 1.41 0.50 0.10
O 2.64 -0.08 0.30
C 1.72 1.06 -2.34
C 2.33 2.74 -0.49
C 0.11 -0.73 1.83
H 1.08 2.49 2.45
H 2.25 1.37 2.79
H 0.73 1.23 3.56
H -1.46 0.82 0.47
H -1.32 1.66 1.93
H -0.28 3.51 0.83
H -1.72 3.01 0.05
H 0.07 3.14 -1.57
H -0.66 1.54 -1.56
H 0.95 0.37 -2.67
H 1.69 1.86 -3.08
H 2.67 0.54 -2.34
H 3.37 2.41 -0.40
H 2.29 3.47 -1.29
H 2.07 3.21 0.46
H 1.04 -1.23 2.13
H -0.34 -1.28 1.01
H -0.56 -0.70 2.69
H 2.50 -0.92 -0.14
C 6.94 -0.69 2.91
C 7.68 -0.22 1.53
C 9.04 -1.04 1.51
C 8.91 -2.48 1.02
C 8.08 -2.52 -0.24
C 6.68 -1.88 -0.11
N 6.88 -0.50 0.31
O 5.79 0.32 0.12
C 6.06 -2.00 -1.58
C 5.81 -2.77 0.81
C 8.14 1.25 1.64
H 7.12 -1.70 3.27
H 5.93 -0.30 2.87
H 7.36 -0.08 3.71
H 9.83 -0.61 0.88
H 9.52 -0.99 2.48
H 8.44 -3.09 1.79
H 9.92 -2.87 0.89
H 7.84 -3.54 -0.53
H 8.75 -2.12 -1.01
H 5.21 -1.34 -1.73
H 6.72 -1.51 -2.30
H 5.81 -3.01 -1.89
H 4.80 -2.43 0.57
H 5.71 -3.82 0.52
H 5.90 -2.65 1.89
H 8.95 1.37 2.37
H 7.48 2.09 1.82
H 8.77 1.47 0.77
H 6.04 0.77 -0.69
C -2.05 -0.83 -3.49
C -3.42 -0.26 -3.70
C -4.33 -0.52 -2.56
O -3.19 1.11 -3.70
H -1.68 -1.31 -4.39
H -1.99 -1.39 -2.56
H -1.24 -0.11 -3.37
H -3.73 -0.61 -4.69
H -3.67 -0.46 -1.69
H -4.88 -1.45 -2.44
H -5.07 0.27 -2.50
H -2.64 1.20 -4.48
C 1.19 -5.01 -2.04
C 2.05 -3.81 -2.54
C 2.03 -2.58 -1.58
O 3.44 -4.14 -2.44
H 1.02 -4.93 -0.97
H 1.74 -5.90 -2.36
H 0.21 -5.14 -2.49
H 1.72 -3.50 -3.53
H 2.44 -2.87 -0.62
H 1.02 -2.22 -1.39
H 2.64 -1.70 -1.77
H 3.70 -4.33 -1.54
C -2.65 5.66 -2.12
C -1.93 6.80 -1.38
C -0.46 6.84 -1.46
O -2.48 8.02 -1.76
H -2.45 4.66 -1.74
H -2.46 5.68 -3.19
H -3.71 5.88 -2.01
H -2.03 6.77 -0.29
H -0.07 7.79 -1.07
H -0.06 6.89 -2.47
H 0.02 5.94 -1.07
H -2.96 8.33 -0.99
C -2.90 2.61 -6.66
C -1.37 2.58 -6.49
C -0.64 3.26 -5.31
O -1.21 1.20 -6.26
H -3.40 1.99 -7.40
H -3.07 3.63 -7.00
H -3.49 2.35 -5.79
H -0.98 2.87 -7.47
H -0.98 4.28 -5.13
H 0.45 3.30 -5.40
H -0.73 2.72 -4.37
H -0.76 0.81 -7.02
C -4.25 3.59 5.55
C -2.79 3.13 5.73
C -2.03 3.42 4.38
O -2.16 3.75 6.84
H -4.75 3.54 4.58
H -4.43 4.60 5.92
- - -

Only choose berries that appear fully ripe, with no sign of mushiness, moisture or mildew. Blueberries should be dark blue color with lighter blue tints – avoid pink berries that have not ripened.

Eggplant should appear glossy with a deep purple/black skin. Avoid any eggplants with soft or brown spots and skin that looks dull or matte.

Cucumbers should be dark green and firm. If they are starting to turn a yellowish color, they are over ripe. As for zucchini and summer squash, opt for smaller vegetables that will be more tender than largely and seedier ones. If growing your own, squash blossoms are edible and can be used in salads or to stuff with ricotta cheese and sauté for a delicious treat.

Tomatoes are best when ripened on the vine. Many grocers sell ripe tomatoes still on the vine for this reason. Ripe tomatoes should be firm to the touch and only yield slightly when pressed. Look for shiny skins and vibrant colors depending on the variety. If the tomatoes are just under-ripe, leave them out on the counter for a day or two – never refrigerate or they can become mealy and lose their fresh flavor.

Basil should have spotless glossy leaves. It bruises easily and should also be kept out of the refrigerator. Basil and other herbs, such as oregano, rosemary, thyme, marjoram, sage, dill, parsley and cilantro are all very forgiving plants that can be grown easily in pots with plenty of sun. The same can be said for tomatoes and salad greens.

With a minimal amount of space, even a small outdoor patio or balcony, even those of us with the brownest thumbs can grow fresh, nutritious – not to mention free – organic produce. All you need are a few pots with adequate drainage, organic potting soil and a watering can. Store bought produce cannot compare to the freshness and quality of harvesting your own.
